High-load and mission-critical environments

Tuning EVA ICS

To use EVA ICS in high-load environments, remember the following:

  • Always turn off trace and debug logs. These can significantly slows down all EVA ICS components.

  • Always check logs. In case of BUS queue overflow, the core may get slower, external services may be continuously disconnected. Consider increasing queue size in eva/config/bus, increase queue size in services’ configuration as well (bus/queue_size). This helps to cope with high-load peaks.

  • Use buf_ttl_sec properties of database and replication services to send events in bulk. Same (buf_ttl) can be used for HMI web sockets.

  • Set instant_save: false in eva/config/core.

  • If action history is not required, set keep-action-history in eva/config/core to zero to disable it.

  • For slow channels, always use compressed bulk events in Replication service. Consider using PSRT instead of MQTT, as it is designed to better deal with slow communications.

  • Consider splitting the node and move high-loaded services to other neighbor computers.

  • Move inventory to an external SQL database (edit eva/config/core and set inventory_db path). The inventory must be re-deployed after.

  • For heavy-loaded services, use Local clustering and secondary points.

Memory consumption

It is highly important to monitor memory consumption of the core process and services launched. If a process goes out of memory, it may be killed and forcibly restarted by the operating system.

To reduce memory consumption, minimize number of workers for the node core/services. Also keep bus and internal service queues minimal, however note that large queue sizes could prevent system freezes on peak loads.

Both eva/config/core and service configurations have got a parameter mem_warn (in bytes). If the core process or a service process (including its child subprocesses) starts consuming more memory than the parameter value, the core/service launchers start output warning messages into logs.

The default value of mem_warn parameter is 128 MiB (134 217 728 bytes), multiplied by the number of workers set.

Crash tests

EVA ICS v4 comes with a watchdog script bundled, which is started automatically.

The watchdog watches the node core liveness using its test method. If the core is not responding, it is automatically restarted.

To make sure the watchdog works properly in production environment, the core has got a special method to simulate various kinds of critical crashes:

eva svc call eva.core simulate.crash kind=KIND

where KIND can be:

Misplaced data records.
/*
The following is a calculated X-ray powder pattern of In17Ga11Hg. It was derived from a structure optimized by DFT (GGA-PBE), using Cu Ka.

Most intense lines, 2θ = 5–70°, by angle:
2theta	d_spacing	intensity
31.70	2.823	100
34.59	2.593	91
36.22	2.480	52
36.76	2.445	35
38.82	2.320	21
40.32	2.237	21
44.09	2.054	20
52.98	1.728	16
60.54	1.529	34
66.21	1.411	14

```
In17Ga11Hg
1.0
5.679 -7.337 0.000
5.679 7.337 0.000
-3.790 0.000 8.471
In Ga Hg
17 11 1
Direct
0.000 0.000 0.000
0.002 0.639 0.777
0.009 0.640 0.391
0.283 0.283 0.999
0.297 0.297 0.654
0.305 0.655 0.673
0.351 0.627 0.007
0.373 0.627 0.356
0.392 0.987 0.015
0.627 0.351 0.007
0.627 0.373 0.356
0.639 0.002 0.777
0.640 0.009 0.391
0.641 0.641 0.709
0.655 0.305 0.673
0.987 0.392 0.015
0.994 0.994 0.365
0.144 0.329 0.316
0.174 0.963 0.706
0.180 0.805 0.179
0.329 0.144 0.316
0.350 0.955 0.510
0.665 0.853 0.040
0.805 0.180 0.179
0.850 0.850 0.604
0.853 0.665 0.040
0.955 0.350 0.510
0.963 0.174 0.706
0.673 0.673 0.271
```

=====

Structure and computed PXRD pattern of LiVSiO4 (a structure optimized by DFT (PBE+U); Cu Kα (λ = 1.5418 Å)).
No peak broadening, texture or thermal motion is included.

Cell and atoms:
Cell: 5.6463 6.3822 9.3294 Å, 75.69 80.31 74.13°
Space group P-1 (No. 2)
Asymmetric unit:
Li: 0.1718 0.1237 0.1463 [2 per cell]
Li: 0.3184 0.9344 0.7805 [2 per cell]
V: 0.2111 0.3375 0.4252 [2 per cell]
V: 0.2973 0.4261 0.7946 [2 per cell]
Si: 0.1604 0.6741 0.0953 [2 per cell]
Si: 0.3285 0.7905 0.4631 [2 per cell]
O: 0.1076 0.4423 0.2135 [2 per cell]
O: 0.1332 0.6511 0.4488 [2 per cell]
O: 0.1339 0.1744 0.9023 [2 per cell]
O: 0.2190 0.0485 0.3908 [2 per cell]
O: 0.2466 0.6435 0.9242 [2 per cell]
O: 0.3585 0.7737 0.1497 [2 per cell]
O: 0.3792 0.2697 0.6173 [2 per cell]
O: 0.3946 0.7143 0.6395 [2 per cell]

Top 12 peaks for 10 to 80 degrees two-theta, most intense first:
2θ (°)	intensity
14.77	100
22.06	45
33.18	40
29.81	31
32.17	29
24.36	28
35.78	28
23.85	26
34.51	25
32.58	24
52.10	22
32.36	15

=====

For Sr4CaYCu6Pb4O16, a structure optimized by DFT (GGA-PBE) gives the theoretical powder diffraction line list in this record (Cu Kα).
No peak broadening, texture or thermal motion is included.

Main lines, in order of rising 2θ (2θ = 10–90°):
23.93°, 3.718 Å, I 18; 32.37°, 2.766 Å, I 100; 33.14°, 2.703 Å, I 70; 43.81°, 2.066 Å, I 20; 47.57°, 1.911 Å, I 33; 58.72°, 1.572 Å, I 37

Crystal structure
```
data_Sr4CaYCu6Pb4O16
_space_group_name_H-M_alt 'P 1'
_space_group_IT_number 1
_cell_length_a 16.4776
_cell_length_b 16.4776
_cell_length_c 16.4776
_cell_angle_alpha 161.12
_cell_angle_beta 161.12
_cell_angle_gamma 26.83
loop_
_space_group_symop_operation_xyz
'x,y,z'
loop_
_atom_site_label
_atom_site_type_symbol
_atom_site_fract_x
_atom_site_fract_y
_atom_site_fract_z
Sr1 Sr 0.1090 0.1090 0.0000
Sr2 Sr 0.3902 0.3902 0.0000
Sr3 Sr 0.6098 0.6098 0.0000
Sr4 Sr 0.8910 0.8910 0.0000
Ca1 Ca 0.0000 0.0000 0.0000
Y1 Y 0.5000 0.5000 0.0000
Cu1 Cu 0.0532 0.5532 0.5000
Cu2 Cu 0.2499 0.2499 0.0000
*/

  • error “test” method starts responding errors with the code -32010 (function failed)

  • freeze “test” method freezes itself forever

  • crash the primary node process crashes by sending SIGKILL to itself

  • memory_overflow the primary node process allocates memory until crashed

  • no return the node to the normal mode if a crash simulation is active (unless the whole process had been crashed)

After any kind of simulated crash, the node watchdog must restart the core process within the specified interval. The default is 30 seconds, the value can be customized in watchdog configuration file.

If the node is not automatically restarted within the specified interval, check the watchdog configuration or contact your support engineer.


memory_overflow test is dangerous and should be done with extreme care on production systems. The test might crash the operating system completely.


Thanks to EVA ICS architecture and optimization for modern multi-core CPUs, the platform can show perfect results even on microcomputers.

According to tests, EVA ICS can show worse performance on industrial and micro computers if they have:

  • small amount of RAM (minimum 128 MB is recommended)

  • slow SSD drive or SD card.

We strongly recommend using at least UHS-I SD cards which can show a speed up to 100 MB/s. For machines small amount of RAM, consider undeploying all unnecessary services, including the default ones.